**Input:**
-- begin --
# CaCoN2, optimized geometry, DFT GGA-PBE
data_CaCoN2
_chemical_formula_sum 'Ca8 Co8 N16'
_space_group_name_H-M_alt 'P n a 21'
_space_group_IT_number 33
_space_group_name_Hall 'P 2c -2n'
_cell_length_a 11.7706
_cell_length_b 8.3382
_cell_length_c 8.7061
_cell_angle_alpha 90.00
_cell_angle_beta 90.00
_cell_angle_gamma 90.00
loop_
_atom_site_label
_atom_site_type_symbol
_atom_site_fract_x
_atom_site_fract_y
_atom_site_fract_z
Ca1 Ca 0.1691 0.1182 0.0000
Ca2 Ca 0.1787 0.6137 0.8701
Co1 Co 0.0077 0.6446 0.6043
Co2 Co 0.0145 0.1520 0.2903
N1 N 0.1001 0.8782 0.8907
N2 N 0.1120 0.4000 0.0230
N3 N 0.1394 0.0737 0.2725
N4 N 0.1413 0.6124 0.5862
# ΔH_f (0 K): 0.07 eV per atom
# Total magnetic moment: 0.00 Bohr magnetons per cell
-- stop --
**What to do:**
The reader should duplicate everything earlier on without additions.
**Here it is:**
# CaCoN2, optimized geometry, DFT GGA-PBE
data_CaCoN2
_chemical_formula_sum 'Ca8 Co8 N16'
_space_group_name_H-M_alt 'P n a 21'
_space_group_IT_number 33
_space_group_name_Hall 'P 2c -2n'
_cell_length_a 11.7706
_cell_length_b 8.3382
_cell_length_c 8.7061
_cell_angle_alpha 90.00
_cell_angle_beta 90.00
_cell_angle_gamma 90.00
loop_
_atom_site_label
_atom_site_type_symbol
_atom_site_fract_x
_atom_site_fract_y
_atom_site_fract_z
Ca1 Ca 0.1691 0.1182 0.0000
Ca2 Ca 0.1787 0.6137 0.8701
Co1 Co 0.0077 0.6446 0.6043
Co2 Co 0.0145 0.1520 0.2903
N1 N 0.1001 0.8782 0.8907
N2 N 0.1120 0.4000 0.0230
N3 N 0.1394 0.0737 0.2725
N4 N 0.1413 0.6124 0.5862
# ΔH_f (0 K): 0.07 eV per atom
# Total magnetic moment: 0.00 Bohr magnetons per cell